Once a month, the middle school classes of Sacred Heart School gather together to work on projects for the school which are called department meetings. They are run by the 8th grade vice presidents (the kids who ran for office but lost the election) and consist of a Social, Service, and Spirituality group. The 8th grade VP’s are assigned kids from middle school classes and all the projects that should be completed. They then split the kids into different groups to work on the given assignments. The 8th grade core leaders walk around to each group to make sure everything is running smoothly or to help if need be.

The Social department is usually held in the 8th grade classroom and is chaperoned by Mrs. Heidi Manning. The projects usually worked on have to do with being socially connected to the school. The members work on posters to be hung in the classrooms or around the school. During the first department meeting of the 2018-2019 school year, the kids worked on ambo and welcome posters. “Everyone stayed focused, and we got most of the work done,” said Nathan, one of the VP’s leading the Social department. “It takes a lot of leadership skills to handle taking care of a bunch of middle school kids and get everything done.”

- - -
The following is a quantum chemistry calculation of a molecular structure, C27H25N3O2Rh, from the OMol25 dataset.

Calculated values
E_tot = -1468.92248 Ha
multiplicity = 1
energy relative to the best compared isomer or geometry (same formula, charge and spin) = 53.7 kJ/mol
LUMO (alpha / beta) = -3.68 / -3.68 eV
net charge = +1

```
58
Properties=species:S:1:pos:R:3:forces:R:3:mulliken_charge:R:1
Rh 0.221634 0.115368 0.022268 0.07 0.50 -0.49 0.434
O 0.634092 -0.022020 -6.904694 0.01 0.01 -0.04 -0.495
C -0.453271 0.653272 -6.314150 0.00 0.00 -0.01 -0.621
C -0.343309 0.551239 -4.819225 0.03 -0.01 -0.06 0.527
C -1.338742 1.071365 -4.003708 -0.05 0.02 0.01 -1.026
C -1.192503 0.989047 -2.635675 0.09 0.13 0.06 -0.216
N -0.136204 0.422842 -2.049760 0.42 0.05 -0.13 -0.512
C 0.801025 -0.149481 -2.834316 -0.26 -0.09 -0.06 0.448
C 0.737066 -0.072869 -4.216428 -0.02 -0.09 0.02 -0.207
C 1.862987 -0.899101 -2.124161 0.13 0.23 0.04 0.088
C 2.821846 -1.655746 -2.775478 0.03 0.13 -0.06 -0.506
C 3.819454 -2.283033 -2.045254 0.00 -0.01 -0.02 0.944
C 4.889579 -3.094058 -2.736482 0.01 0.00 0.00 -0.876
O 4.519731 -3.527569 -4.025108 -0.04 0.05 -0.01 -0.516
C 3.823179 -2.108321 -0.668902 0.06 0.03 0.04 -1.029
C 2.825884 -1.361898 -0.075307 -0.08 0.02 -0.03 -0.662
N 1.845421 -0.786046 -0.781537 -0.25 -0.74 0.01 -0.346
H 0.597594 0.087562 -7.860066 0.00 -0.01 0.04 0.309
H -1.411396 0.220749 -6.623572 0.00 0.00 0.00 0.343
H -0.463890 1.714049 -6.589563 0.00 0.00 0.00 0.343
H -2.215811 1.546230 -4.423732 -0.01 -0.01 0.01 0.431
H -1.945396 1.394394 -1.972635 -0.01 0.01 -0.01 0.399
H 1.505575 -0.505418 -4.837321 -0.01 0.01 -0.01 0.537
H 2.811066 -1.761199 -3.850188 0.01 -0.02 0.01 0.634
H 5.191585 -3.926872 -2.094421 -0.02 0.00 0.00 0.423
H 5.768321 -2.459878 -2.871021 0.01 -0.01 0.01 0.286
H 3.885345 -4.247970 -3.951304 0.03 -0.04 0.01 0.315
H 4.584846 -2.564671 -0.049625 0.00 0.01 0.00 0.439
H 2.776879 -1.220039 0.994227 -0.03 -0.05 0.01 0.720
C 0.182338 -0.910956 1.549780 -0.01 0.37 0.79 -0.226
C -0.091325 -1.678273 2.512140 0.14 -0.03 -0.23 0.246
C -0.369814 -2.488740 3.545367 0.02 0.06 -0.04 0.018
C -1.745047 -2.528381 4.078246 -0.05 -0.01 0.03 0.372
C -2.518231 -1.367115 4.115243 0.02 0.01 -0.01 -0.605
C -3.819656 -1.404258 4.581440 -0.02 0.00 0.01 -0.596
C -4.375719 -2.608343 4.995276 0.02 0.00 -0.01 -0.433
C -3.621894 -3.772152 4.944488 -0.02 0.00 0.01 -0.735
C -2.311279 -3.733794 4.498087 0.03 -0.01 -0.01 -0.057
C 0.686736 -3.320467 4.142325 0.03 -0.10 0.02 0.568
C 1.799175 -3.696082 3.383963 -0.03 -0.01 -0.05 -0.572
C 2.811013 -4.450637 3.945412 0.02 -0.02 0.02 -0.676
C 2.737059 -4.831675 5.280505 -0.02 0.02 -0.02 -0.427
C 1.645866 -4.451831 6.047703 0.01 0.00 0.02 -0.788
C 0.623976 -3.705484 5.483850 -0.01 0.05 0.01 -0.077
H -2.075400 -0.433983 3.791220 0.01 0.00 0.01 0.391
H -4.404473 -0.495015 4.624969 0.00 0.00 0.00 0.386
H -5.395184 -2.638988 5.355960 0.00 0.00 0.00 0.394
H -4.055896 -4.713625 5.253484 0.00 0.00 0.00 0.397
- - -
The molecular data stop here:

The Service department is usually held in the 7th grade classroom and is chaperoned by Mrs. Sarah Gaither. The projects usually assigned are associated with the service of the school and church. The members work on posters and any other work that needs to be accomplished. On the first department meeting, the kids worked on virtue and recycle posters. “It was a good learning experience, leading and taking charge,” said Sierra, one of the VP’s leading the Service department.

Molecular data, as found in the file:
Record 1
CH4N2OS | the ωB97M-V functional and the def2-TZVPD basis

The orbital gap comes out at 9.733 eV. For the energy relative to the best compared isomer or geometry (same formula, charge and spin), the calculation gives 81.5 kJ/mol. As for the SMILES: NC(=O)NS. Its charge is 0. The lowest unoccupied orbital energy is 0.60 eV. Its max |F| is 3.2 eV/Å.

```
9
CH4N2OS | OMol25 | the ωB97M-V functional and the def2-TZVPD basis
C -0.041 0.061 -0.398
S -0.757 0.702 2.165
H 1.050 -0.389 1.314
O -0.573 1.147 -0.690
H 0.634 -1.727 -1.320
H 0.145 -0.563 -2.218
N 0.074 -0.352 0.924
N 0.360 -0.809 -1.311
H -0.893 1.930 1.535
```

Here are the Löwdin charges for atoms 1 to 8, given in e: -0.702, 0.690, 0.086, -0.021, 0.083, 0.088, -0.289, 0.192


Record 2
C4H9NO2 | the ωB97M-V functional and the def2-TZVPD basis

The orbital gap comes out at 10.651 eV. For the energy relative to the best compared isomer or geometry (same formula, charge and spin), the calculation gives 266.5 kJ/mol. As for the SMILES: N[C@@H](CO)CC=O. Its charge is 0. The lowest unoccupied orbital energy is 0.66 eV. Its max |F| is 5.7 eV/Å.

```
16
C4H9NO2 | OMol25 | the ωB97M-V functional and the def2-TZVPD basis
O 2.277 -2.046 1.707
O -1.147 1.440 -1.856
C -0.008 -0.041 -0.350
H 0.794 1.677 -1.180
N -1.396 -0.569 0.039
C 1.037 -0.105 0.834
H -0.550 1.985 0.015
H -1.372 -1.612 0.046
H -1.980 1.136 -1.644
C 1.209 -1.510 1.457
H 0.315 -0.610 -1.227
H 0.652 0.620 1.550
H 2.029 0.381 0.564
C -0.143 1.396 -0.868
H 0.231 -1.759 1.726
H -1.946 -0.382 -0.813
```

Here are the Löwdin charges for atoms 1 to 8, given in e: 0.052, -0.037, -0.358, 0.097, 0.031, -0.108, 0.146, 0.080


Record 3
C4H6O2 | the ωB97M-V functional and the def2-TZVPD basis

The orbital gap comes out at 10.457 eV. For the energy relative to the best compared isomer or geometry (same formula, charge and spin), the calculation gives 74.8 kJ/mol. As for the SMILES: CC(=O)CC=O. Its charge is 0. The lowest unoccupied orbital energy is 0.49 eV. Its max |F| is 0.5 eV/Å.

```
12
C4H6O2 | OMol25 | the ωB97M-V functional and the def2-TZVPD basis
C -0.522 1.509 -0.030
H 0.720 -1.369 1.366
O 0.948 -1.026 -1.842
H -0.046 1.423 -1.014
C -0.605 0.145 0.600
C 0.676 -0.684 0.515
C 0.486 -1.417 -0.798
H -0.204 -2.284 -0.755
H 1.571 -0.060 0.453
H 0.115 2.159 0.581
O -1.621 -0.339 1.046
H -1.518 1.943 -0.122
```

Here are the Löwdin charges for atoms 1 to 8, given in e: -0.007, 0.125, 0.061, 0.089, -0.460, -0.084, -0.256, 0.135

=====

Version i
The molecule C3H6N4O. Source: the OMol25 dataset; level of theory: the ωB97M-V functional and the def2-TZVPD basis.

The geometry in ORCA input format:
```
! RIJCOSX wB97M-V def2-TZVPD def2/J DEFGRID3
* xyz 0 1
H 3.600 -0.089 -0.723
N -0.711 -0.660 -0.170
H 2.822 0.831 0.823
O 0.557 1.292 -0.123
H -2.650 -1.380 -0.557
N 0.641 -1.050 -0.075
H -2.323 -1.293 0.954
N -1.733 -1.509 0.065
H -2.245 2.293 -0.041
C 1.237 0.048 -0.253
N -1.884 1.267 0.267
H 3.148 -1.245 0.785
C -0.755 0.798 -0.141

The Spirituality department is usually held in the computer lab and is chaperoned by Mrs. Allyson Clemmensen. The projects usually designated to this group are related to the mass, such as finding introductions to the upcoming masses, prayers, information of the Saint of the Month, and other religious readings that the 8th grade presents. On the first department meeting, the kids worked on different readings for Grandparents Day, including an introduction welcoming grandparents, petitions for grandparents, and a communion reflection asking God to watch over all grandparents. “It went well. The leaders were able to keep everything under control and get the work done,” said Damian, the 8th grade Secretary of Sacred Heart School.

_Here the entry breaks off for data records_
********
Formula: C18H24N2O2OsS2
Source: OMol25
Level of theory: wB97M-V/def2-TZVPD

The calculation puts the HOMO-LUMO gap (spin up / spin down) at 6.7 / 3.3 eV. The energy relative to the best compared isomer or geometry (same formula, charge and spin) is 0.0 kJ/mol. The maximum force is 0.4 eV Å⁻¹. Its HOMO energy (spin up / spin down) is -12.979 / -13.589 eV.

Structure (ORCA input):
```
! RIJCOSX wB97M-V def2-TZVPD def2/J DEFGRID3
* xyz 2 5
Os -0.4344 -0.0337 1.0807
S -0.7945 1.1518 2.8956
C 0.5588 2.2777 3.0266
C 0.6217 3.1881 4.0734
C 1.6984 4.0582 4.1499
C 2.7045 4.0218 3.1916
C 2.6450 3.1131 2.1458
C 1.5668 2.2398 2.0671
S 1.4632 1.0669 0.7579
H -0.1608 3.2147 4.8204
H 1.7527 4.7683 4.9633
H 3.5400 4.7044 3.2594
H 3.4268 3.0801 1.3985
C -4.8626 -3.7331 -2.3154
C -5.8296 -3.3264 -1.1894
N -6.1860 -1.9304 -1.2806
C -7.0756 -1.4758 -2.3305
C -6.3004 -0.7190 -3.4286
C -5.6642 -0.9397 -0.3761
O -6.0918 0.1750 -0.4756
C -4.6183 -1.3302 0.6235
C -4.9495 -1.9501 1.8256
C -3.9556 -2.1253 2.7695
C -2.6817 -1.6558 2.4980
N -2.3632 -1.0524 1.3453
C -3.3149 -0.8993 0.4181
H -4.6354 -4.7888 -2.1823
H -3.9368 -3.1615 -2.2626
H -5.3135 -3.6005 -3.2961
H -5.3885 -3.5104 -0.2143
H -6.7597 -3.8936 -1.2822
H -7.8033 -0.8035 -1.8721
H -7.5717 -2.3549 -2.7363
H -5.8813 0.2049 -3.0395
H -7.0153 -0.4805 -4.2140
H -5.5177 -1.3387 -3.8601
H -5.9633 -2.2711 2.0314
H -4.1612 -2.5944 3.7207
H -1.8860 -1.7362 3.2278
H -3.0234 -0.3915 -0.4943
C 1.2918 -2.9146 0.4056
C 0.2044 -2.6707 -0.6085
O -0.0926 -1.2355 -0.7284
H 1.4859 -3.9849 0.4848
H 1.0023 -2.5589 1.3995
H 2.2220 -2.4239 0.1197
H -0.7451 -3.1234 -0.3252
H 0.4742 -3.0210 -1.6035
H 0.5586 -0.8383 -1.3228
*
```

=====

[1]
Formula: C30H52BN10O2RhSbSi3
Source: the Open Molecules 2025 dataset
Level of theory: the ωB97M-V functional and the def2-TZVPD basis

Results
* frontier orbital gap (alpha / beta): 8.4 / 4.7 eV
* relative energy (zero: lowest compared OMol25 entry of this formula, charge and spin): 208.2 kJ/mol
* charge: +2
* multiplicity: 6
* E_HOMO (alpha / beta): -13.03 / -13.03 eV

Each line ends with the Löwdin charge.
Atoms and positions in Å:
N: -0.48 -5.11 -2.58  0.119
C: 1.70 1.92 4.62  -0.202
N: -0.32 -1.58 -3.52  0.040
H: -0.02 -2.10 0.84  -0.013
H: -0.84 2.94 4.87  0.014
N: -1.21 -2.50 -1.41  0.027
H: -0.44 -7.81 -2.04  0.080
H: 1.03 -2.54 2.21  0.030
H: -2.83 5.12 2.70  0.056
H: 0.88 1.41 5.11  0.010
C: -0.96 -0.62 -5.42  0.018
Sb: -0.30 1.29 1.58  1.154
C: 3.17 2.66 2.11  -0.188
H: -3.32 0.86 -0.98  0.088
H: -1.97 1.59 4.98  0.024
H: 4.32 0.15 0.24  0.090
H: -2.39 -4.16 -1.87  0.113
N: 1.31 -2.25 -1.65  0.031
H: -1.07 4.98 2.56  0.029
N: -1.43 -1.26 -0.89  -0.026
C: 0.00 -2.43 1.88  -0.190
H: 2.77 3.66 2.31  0.026
C: -2.02 4.55 2.24  -0.204
H: 2.56 5.78 -1.98  0.144
H: -2.90 0.50 0.69  -0.027
C: 1.04 -5.68 -4.14  -0.001
C: 0.01 -6.12 -3.27  -0.336
H: 0.07 -8.21 -3.69  0.080
C: -0.50 -7.51 -3.09  -0.026
C: 1.11 -4.33 -3.92  -0.111
N: 0.90 2.52 -1.02  0.051
C: -1.50 1.71 -4.38  -0.014
********

Department meetings are a way to get the middle school kids to work cohesively and get involved with their school. Each department meeting is an opportunity for the 8th graders to develop their leadership skills and the other kids to accomplish their assignments as a middle school community.

